Nonlinear Programming

June 1998

Nonlinear Programming

Despite some drawbacks, the "all of the above" of optimization models fills an important role

By Stephen G. Nash

Nonlinear programming is the "all of the above" of optimization models. Its name, after all, only indicates that the model is "not linear" — hardly a confining category. Nonlinear programming is certainly a useful tool, since so many aspects of our world do not behave linearly. Doubling the dosage of a drug need not double its effectiveness. Assigning twice as many employees to a project does not guarantee that the project will be completed twice as fast.

Nonlinear models arise often in science and engineering. They have been used, for example, to determine how to clean up pollution in underground water systems. The model determines where to pump out contaminated water, and where to pump in clean water, so as to reduce the contamination to acceptable levels in either the least time or at the least cost. The constraints model the flow of water through the underground system, and also specify limits on how much water can be pumped in and out.

Another application is in the design of trusses. Here the model determines which support beams to include in the truss, and how thick they should be, so as to maximize the stiffness of the truss. The constraints in the model specify the locations and magnitudes of the loads that must be supported by the truss.

Although less common, nonlinear models can also arise in business applications, for example, in the management of investment portfolios. In this setting, the goal might be to determine a mix of investments so as to maximize return while minimizing risk. The nonlinearity in the model comes from taking risk into account.

Modeling of traffic also leads to nonlinearities, representing such notions as congestion and travel times. And gasoline blending models use nonlinear functions to represent volatility and octane-quality measures.

Despite many successes, nonlinear programming has never been as popular as linear programming, even though nonlinear models are capable of much greater realism and subtlety. Why is this? There are a variety of reasons, coming from a variety of sources. Some of these are gradually disappearing, since they are based on transitory limitations in computer hardware and software. Others will never completely disappear, since they correspond to inherent mathematical limitations of the techniques.

Let's look at the easy reasons first.

Modeling Languages

== Between two parts of the text: records of crystals ==
=====
No. 1
DFT (PBE) results for a geometry-optimized KCu4As2 structure.

POSCAR file:
```
KCu4As2
1.0
8.742 -2.063 0.000
8.742 2.063 0.000
8.255 0.000 3.540
K As Cu
1 2 4
Cartesian
0.000 0.000 0.000
6.218 0.000 0.855
19.522 0.000 2.685
21.993 0.000 3.024
11.478 0.000 1.578
14.261 0.000 1.961
3.746 0.000 0.515
```

Values from the calculation:
**E_form**: -17.88 kJ/mol of atoms
**Symmetry**: R-3m (166)
**VASP energy**: -4.02 eV per atom

No. 2
DFT (PBE) results for a geometry-optimized Zn5FeN4 structure.

POSCAR file:
```
Zn5FeN4
1.0
-8.227 0.066 -3.481
-2.092 -2.850 4.891
-0.849 4.204 2.086
Fe Zn N
2 10 8
Cartesian
-7.358 2.627 0.245
-3.811 -1.207 3.252
-1.445 2.881 1.221
-8.768 -0.159 0.041
-2.401 1.579 3.456
-9.724 -1.461 2.275
-2.804 0.412 0.902
-8.365 1.008 2.594
-4.901 1.599 2.398
-7.224 -1.481 3.333
-3.945 2.901 0.163
-6.268 -0.179 1.098
-7.037 4.215 -0.483
-8.043 2.844 1.869
-8.635 1.797 -0.785
-5.741 1.773 0.439
-2.534 -0.377 4.282
-5.427 -0.353 3.057
-3.125 -1.424 1.628
-4.131 -2.795 3.980
```

Values from the calculation:
**E_form**: 11.70 kJ/mol of atoms
**Symmetry**: Pmmn (59)
**Total magnetization**: 0.000 μB/atom
**Corrected total energy (MP2020 scheme)**: -93.80 eV for the cell shown
**VASP energy**: -4.55 eV per atom

No. 3
DFT (PBE) results for a geometry-optimized P3Pb5O13 structure.

POSCAR file:
```
P3Pb5O13
1.0
4.949 -8.571 0.000
4.949 8.571 0.000
0.000 0.000 7.327
O P Pb
26 6 10
Cartesian
6.786 0.665 3.078
6.875 3.549 1.832
3.022 -3.549 5.495
5.928 5.544 3.078
4.130 4.394 5.495
5.767 -4.394 1.832
0.000 0.000 3.663
6.689 2.797 5.495
3.386 4.180 1.832
3.969 -5.544 4.248
7.766 -2.362 4.248
5.313 -0.843 5.495
4.027 1.380 5.495
4.584 0.843 1.832
6.511 -4.180 5.495
2.131 2.362 0.585
3.208 -2.797 1.832
3.111 -0.665 6.742
0.000 0.000 0.000
5.870 -1.380 1.832
3.111 -0.665 4.248
3.969 -5.544 6.742
2.131 2.362 3.078
5.928 5.544 0.585
7.766 -2.362 6.742
6.786 0.665 0.585
3.905 -0.165 5.495
5.992 0.165 1.832
7.801 -3.299 5.495
2.096 3.299 1.832
6.758 5.107 1.832
3.139 -5.107 5.495
4.949 2.857 7.319
7.678 -0.129 5.495
5.946 -6.585 5.495
3.951 6.585 1.832
4.949 -2.857 3.655
8.676 1.857 1.832
4.949 2.857 3.671
4.949 -2.857 0.008
2.219 0.129 1.832
1.221 -1.857 5.495
```

Values from the calculation:
**ΔE to the lowest computed polymorph**: 0.026 eV/atom
**E_form**: -211.93 kJ/mol of atoms
**Symmetry**: P6_3/m (176)
**Total magnetization**: 0.048 μB/atom
**Corrected total energy (MP2020 scheme)**: -290.51 eV for the cell shown
**VASP energy**: -6.49 eV per atom

No. 4
DFT (PBE) results for a geometry-optimized Na5Y2Zn2P3S3O24 structure.

POSCAR file:
```
Na5Y2Zn2P3S3O24
1.0
-7.214 -4.788 3.028
8.322 -3.811 -0.011
3.888 7.783 21.355
Na O S P Zn Y
15 72 9 9 6 6
Cartesian
-1.252 3.650 21.499
-3.474 -1.162 7.323
6.100 -4.459 2.573
-0.699 -1.676 8.881
5.455 -2.386 14.303
3.601 -2.673 4.311
5.777 1.026 15.037
-2.973 -2.488 11.703
-1.358 -0.306 18.879
2.990 1.763 13.417
2.870 -4.537 13.426
3.564 0.357 17.730
1.222 2.273 19.491
-1.014 -5.318 8.147
=====

It has never been difficult to input a linear program. Once the coefficients in the objective and the constraints are specified, then the problem can be handed to software. For decades there have been well-established input formats for linear programming, and software for linear programming has adapted to these formats.

Nonlinear programming is different. Nonlinear models come in many different forms, and there has never been a standard for how to specify the model. It might be represented as a subroutine that evaluates the model functions. (This is essential in cases where the functions are only defined in terms of other calculations.) But for simpler models, ones where it is easy to write down the formulas for the model, this is a cumbersome barrier to using the software. If a user starts with a linear model but wants to add a nonlinear term to it, then the input format for the entire model might have to be rewritten for the nonlinear software.

This obstacle to the use of nonlinear programming is disappearing as modeling languages (such as AMPL) become more sophisticated. By using these languages, it is much easier to express nonlinear models, and linear and nonlinear models can be expressed in a single format. Such languages are linked to the major nonlinear programming packages, and so (even as solvers change) the model can remain in a fixed input format.

Software for nonlinear programming often requires the derivatives of the functions in the model. (I'll explain why later.) So, in addition to having to specify the functions, the user must derive and program his or her derivatives. This is tedious, and it is easy to make mistakes that can cause the software to fail.  
• Frequently Asked Questions on Linear
and Nonlinear Programming:
• Optimization Technology Center (NEOS):

Modeling languages also provide assistance here, either by computing approximations to the required derivatives, or by deriving and programming the derivative formulas as the model is processed.

If a modeling language is not being used, the tedium of derivative calculations can be alleviated through the use of software for "automatic differentiation" (such as ADIFOR). Such software analyzes the formulas for the nonlinear functions and generates software that will evaluate the derivatives. This is not the same as "symbolic differentiation" — the technique used in packages such as Mathematica. Automatic differentiation can be applied even in cases where the nonlinear functions are only defined in terms of other software. The model functions need not be expressed in "closed form."

These two resources (modeling languages and automatic differentiation) remove much of the tedium associated with specifying a nonlinear model. They can greatly simplify the task of preparing a model for the optimization software.

Hardware And Software Issues

An intermediate range of obstacles is associated with computer hardware and optimization software. In the past it was impractical to solve many optimization problems, either because the software could not reliably find a solution, or because the time required to solve the problems was too great.

We all know that computers are a lot faster. In the past, just evaluating the model functions at a single point might have been so time-consuming that no thought was given to optimizing the model parameters. (If, say, the model required a simulation involving a difficult system of differential equations.) Today the speed-ups in computers might have altered the balance.

In tandem, optimization software has become more robust and efficient, particularly for the solution of large problems. A much greater collection of optimization problems can now be solved efficiently by "off-the-shelf" software, where in the past it might have been necessary to try various packages, or experiment with different parameter settings or starting guesses to successfully optimize the model. It is still not possible to guarantee success first time, every time, but it is certainly true that a great many more problems, particularly large problems, can be routinely and reliably solved.

This all sounds so promising, suggesting that if we just wait a few years, then perhaps nonlinear programming might become as routine a modeling tool as linear programming. Well, it won't. And there are good, solid reasons why it won't.

Hard To Solve

Nonlinear programs can be very hard to solve. Every integer program can be written as a nonlinear program (for example, an integer-valued variable x can be represented using the nonlinear constraint sin pi x = 0). Any system of differential equations can be represented as a nonlinear program. Nonlinear programming includes all of optimal control. Interior-point methods even interpret linear programs as nonlinear programs. To repeat, nonlinear programming is the "all of the above" of optimization models. It is unreasonable to expect "black-box" optimization software to be able to solve all nonlinear programming problems. If a problem includes nonlinear constraints (unless an initial feasible point is provided), there is no guaranteed way to find a feasible point, or even to determine whether one exists. If all the constraints are linear, however, determining a feasible point is no more difficult than in linear programming.

If a method finds a "solution," then it may only be a local optimum, or in some cases only a stationary point. This is all that can reasonably be expected, since tools for analyzing the "global" behavior of general nonlinear functions do not exist.

In some situations, this is not a serious limitation. A good initial guess of the solution may be available. It may be known in advance that there is only one stationary point, and that it corresponds to the global optimum. Or it may be that a particular local optimum is what is desired, or at least is adequate. (If it is essential to find a global optimum, then it may be necessary to resort to probabilistic techniques such as simulated annealing; see the references at the end of this article for further information.)

Under certain conditions (for example, if the problem is "convex"), much stronger guarantees are possible. But it can be difficult to determine if a model satisfies these conditions, and so they are not always of practical value.

Some of these obstacles will never be overcome, but there is a danger of becoming obsessed by them. In truth, a great many problems can be solved using today's computers and software, and without a great deal of strain on the part of the modeler. There is always the risk of encountering a difficult problem, one that will overwhelm current capabilities, but this is no reason to shun nonlinear models.

Software Survey

Some of the available software packages for nonlinear programming are described in the accompanying survey. This survey was restricted to "full feature" nonlinear programming packages, meaning packages that accept a full range of models (nonlinear objective function, and nonlinear equality and inequality constraints). This omits many worthwhile pieces of software that only handle more restricted models. (Also, not all software providers responded to the survey, leading to further omissions.)

Because the design and development of nonlinear optimization software can be difficult, it is common for the latest techniques to appear first in more specialized packages. The most successful of these techniques gradually spread to the general packages. Many ideas are first explored with unconstrained problems, where only the objective function is present, and no constraints. For example, the only widely available nonlinear optimization software for parallel computers is restricted to unconstrained problems.

Special-purpose software may be necessary when solving especially difficult optimization problems. Added information about a model can often be exploited to improve the performance of optimization algorithms. It can be confusing, however, to match the capabilities of special-purpose software with the idiosyncrasies of a special-purpose model. For example, a piece of optimization software might require that all the constraints be linear, or that the feasible region have a non-empty interior, whereas the modeler might be hunting for software for a reservoir model. Categories of models and categories of software do not always match up.

Those needing more sophisticated (and perhaps more specialized) optimization tools can obtain assistance over the Internet at NEOS, the Network-Enabled Optimization System maintained by the Optimization Technology Center of Northwestern University and the Argonne National Laboratory. Optimization models can be submitted electronically to specific solvers, and the results are then transmitted back to the user. The NEOS site also contains guides to available software, technical information on algorithms, and other resources.

How Algorithms Work

The behavior of nonlinear programming software can be better understood if the basis for the methods is explained. The (first-order) optimality conditions for a nonlinear program can be written as a system of nonlinear equations. The vast majority of algorithms apply some variant of Newton's method to this system of equations. That is, the nonlinear functions are approximated by linear functions, the solution of the linearized equations is used to get a new estimate of the optimum, and the whole process is repeated. The coefficients of the linearized system are derived from the derivatives of the nonlinear function; that is, they are based on a Taylor series approximation to the nonlinear system. What does all this imply? First, that derivative calculations are essential to the operation of the algorithms. And second, that only local solutions can be found (the coefficients of the linearized system depend on the derivatives at the current point, and the approximation is only of value "near" the current point).

If the current point is "close" to the optimum, then Newton's method can be expected to work well. However, the system of nonlinear equations only defines a stationary point, and so auxiliary techniques are required to guarantee progress towards an optimal point. These auxiliary techniques are essential to the performance of the algorithms at points "far" from the solution. These auxiliary techniques use the same derivative information that Newton's method uses, so they, too, construct (perhaps implicitly) a "local" approximation to the nonlinear functions, and this again places fundamental limits on what the algorithm can achieve. (The quotation marks here disguise various technicalities.)

Performance Guarantees

To get better guarantees of performance, the algorithm must have available "global" knowledge about the nonlinear functions. For example, these functions must be convex, or bounds on their derivatives must be provided. It is rarely possible to verify if such conditions are satisfied. If only local information is available (i.e., the values of the nonlinear functions and their derivatives) then only local guarantees are possible.

Not all nonlinear models are differentiable. What can be done in this case? Certain algorithms do not use derivative values, and so can be applied to nondifferentiable functions. However, to guarantee convergence, even to a stationary point, these methods must often assume that the problem is differentiable, even if the derivative values are not used. If the function is not differentiable (and especially if the function is not continuous), the value of the function at one point gives little or no information about the values of the function at nearby points. In such cases, weaker guarantees of convergence must be accepted.

All these cautionary statements may leave a bleak impression of nonlinear programming. You should not despair. Nonlinear programming includes such a broad range of models that warnings are to be expected.

A great deal of effort and ingenuity has been expended to develop Newton's method into a powerful and practical software tool. This has been especially true for large problems. Modern methods can approximate the performance of Newton's method even though they calculate and store only a small fraction of the derivative information required by Newton's method. Other major improvements have come from a better understanding of the role of the dual variables (Lagrange multipliers), and of how to use dual information to accelerate an algorithm. These advances are the basis of the improved performance and reliability of nonlinear optimization algorithms, and they provide ample justification for the increased use of nonlinear models in operations research.

These successes, together with the development of modeling languages and automatic differentiation, and of course with the improvements in computer hardware, have made nonlinear programming a valuable tool for many scientists and engineers. 


1. Philip E. Gill, Walter Murray, and Margaret H. Wright, "Practical Optimization," Academic Press (New York), 1981.

2. David G. Luenberger, "Linear and Nonlinear Programming," Addison-Wesley (Reading, Mass.), 1984.

3. Jorge J. More and Stephen J. Wright, "Optimization Software Guide," SIAM (Philadelphia), 1993.

4. Stephen G. Nash and Ariela Sofer, "Linear and Nonlinear Programming," McGraw-Hill (New York), 1996.

5. Andreas Griewank and George F. Corliss (editors), "Automatic Differentiation of Algorithms: Theory, Implementation, and Application," SIAM, (Philadelphia), 1991.

6. Christodoulos A. Floudas and Panos M. Pardalos (editors), "Recent Advances in Global Optimization," Princeton University Press (Princeton) 1992.

7. George P. Karatzas and George F. Pinder, "Groundwater Quality Management Using a 3-d Numerical Simulator and a Cutting Plane Optimization Method," Computational Methods in Water Resources, X (1994), pp. 841-848.

8. Martin Philip Bendsfe, Aharon Ben-Tal, and Jochem Zowe, "Optimization Methods for Truss Geometry and Topology Design," Structured Optimization, 7 (1994), pp. 141-159.

9. Harry M. Markowitz, "Mean-variance Analysis in Portfolio Choice and Capital Markets," Blackwell (New York), 1987. 

Go to the accompanying survey

Stephen G. Nash is a professor in the Operations Research and Engineering Department at George Mason University in Fairfax, Va. He is also a computer scientist in the Information Technology Laboratory at the National Institute of Standards and Technology in Gaithersburg, Md.